To do.
What is needed: reproduce the whole of the calculation results underneath exactly.

File.
=====
[1]
Entry from Alexandria via LeMat-Bulk: an optimized crystal structure of Tl2In (GGA-PBE).

Unit cell a=10.1891 b=10.1891 c=10.1891 alpha=60.00 beta=60.00 gamma=60.00
With the nearest neighbours (Å) after each atom.
Positions (direct):
Tl  0.0000  0.0000  0.0000  6 In 3.18
Tl  0.0000  0.0000  0.5000  6 In 3.18
Tl  0.0000  0.5000  0.0000  6 In 3.18
Tl  0.1822  0.1822  0.5678  4 In 3.29-3.63, 2 Tl 3.66
Tl  0.1822  0.5678  0.1822  4 In 3.29-3.63, 2 Tl 3.66
Tl  0.1822  0.5678  0.5678  4 In 3.29-3.63, 2 Tl 3.66
Tl  0.4322  0.4322  0.8178  4 In 3.29-3.63, 2 Tl 3.66
Tl  0.4322  0.8178  0.4322  4 In 3.29-3.63, 2 Tl 3.66
Tl  0.4322  0.8178  0.8178  4 In 3.29-3.63, 2 Tl 3.66
Tl  0.5000  0.0000  0.0000  6 In 3.18
Tl  0.5678  0.1822  0.1822  4 In 3.29-3.63, 2 Tl 3.66
Tl  0.5678  0.1822  0.5678  4 In 3.29-3.63, 2 Tl 3.66
Tl  0.5678  0.5678  0.1822  4 In 3.29-3.63, 2 Tl 3.66
Tl  0.8178  0.4322  0.4322  4 In 3.29-3.63, 2 Tl 3.66
Tl  0.8178  0.4322  0.8178  4 In 3.29-3.63, 2 Tl 3.66
Tl  0.8178  0.8178  0.4322  4 In 3.29-3.63, 2 Tl 3.66
In  0.1456  0.7848  0.7848  6 Tl 3.18-3.29
In  0.2152  0.2152  0.2152  6 Tl 3.18-3.29
In  0.2152  0.2152  0.8544  6 Tl 3.18-3.29
In  0.2152  0.8544  0.2152  6 Tl 3.18-3.29
In  0.7848  0.1456  0.7848  6 Tl 3.18-3.29
In  0.7848  0.7848  0.1456  6 Tl 3.18-3.29
In  0.7848  0.7848  0.7848  6 Tl 3.18-3.29
In  0.8544  0.2152  0.2152  6 Tl 3.18-3.29

Summary:
Uncorrected energy in eV/atom: -2.448
Magnetization in μB per cell: 0.00
Space-group type: Fd-3m

=====

[2]
Entry from Alexandria via LeMat-Bulk: an optimized crystal structure of Tl2In (GGA-PBE).

Unit cell a=3.4175 b=3.4175 c=15.1789 alpha=90.00 beta=90.00 gamma=90.00
With the nearest neighbours (Å) after each atom.
Positions (direct):
Tl  0.0000  0.0000  0.1604  8 Tl 3.42-3.64, 4 In 3.43
Tl  0.0000  0.0000  0.8396  8 Tl 3.42-3.64, 4 In 3.43
Tl  0.5000  0.5000  0.3396  8 Tl 3.42-3.64, 4 In 3.43
Tl  0.5000  0.5000  0.6604  8 Tl 3.42-3.64, 4 In 3.43
In  0.0000  0.0000  0.5000  4 In 3.42, 8 Tl 3.43
In  0.5000  0.5000  0.0000  4 In 3.42, 8 Tl 3.43

Summary:
Uncorrected energy in eV/atom: -2.468
Magnetization in μB per cell: 0.00
Space-group type: I4/mmm

=====

[3]
Entry from Alexandria via LeMat-Bulk: an optimized crystal structure of Tl5In2 (GGA-PBE).

Unit cell a=3.3734 b=3.3734 c=36.6503 alpha=90.00 beta=90.00 gamma=90.00
With the nearest neighbours (Å) after each atom.
Positions (direct):
Tl  0.0000  0.0000  0.0000  12 Tl 3.37-3.58
Tl  0.0000  0.0000  0.1467  8 Tl 3.37-3.60, 4 In 3.51
Tl  0.0000  0.0000  0.4270  12 Tl 3.37-3.60
Tl  0.0000  0.0000  0.5730  12 Tl 3.37-3.60
Tl  0.0000  0.0000  0.8533  8 Tl 3.37-3.60, 4 In 3.51
Tl  0.5000  0.5000  0.0730  12 Tl 3.37-3.60
Tl  0.5000  0.5000  0.3533  8 Tl 3.37-3.60, 4 In 3.51
Tl  0.5000  0.5000  0.5000  12 Tl 3.37-3.58
Tl  0.5000  0.5000  0.6467  8 Tl 3.37-3.60, 4 In 3.51
Tl  0.5000  0.5000  0.9270  12 Tl 3.37-3.60
In  0.0000  0.0000  0.2831  8 In 3.37-3.40, 4 Tl 3.51
In  0.0000  0.0000  0.7169  8 In 3.37-3.40, 4 Tl 3.51
In  0.5000  0.5000  0.2169  8 In 3.37-3.40, 4 Tl 3.51
In  0.5000  0.5000  0.7831  8 In 3.37-3.40, 4 Tl 3.51

Summary:
Uncorrected energy in eV/atom: -2.453
Magnetization in μB per cell: 0.00
Space-group type: I4/mmm

=====

Record-wise Fermi-level density of states values, in states/eV/atom: 0.44, 0.39, 0.50


This record from Alexandria via LeMat-Bulk describes a relaxed structure of Ac12Co2Sn5. The functional is PBE-GGA.

ΔE_f in kJ/mol of formula units: -555.6
Magnetization in Bohr magnetons per cell: 2.076

```
data_Ac12Co2Sn5
_chemical_formula_sum 'Ac24 Co4 Sn10'
_space_group_name_H-M_alt 'C 1 2/m 1'
_space_group_IT_number 12
_space_group_name_Hall '-C 2y'
_cell_length_a 18.730
_cell_length_b 8.338
_cell_length_c 10.456
_cell_angle_alpha 90.00
_cell_angle_beta 106.19
_cell_angle_gamma 90.00
loop_
_atom_site_label
_atom_site_type_symbol
_atom_site_fract_x
_atom_site_fract_y
_atom_site_fract_z
Ac1 Ac 0.002 0.000 0.212
Ac2 Ac 0.004 0.500 0.825
Ac3 Ac 0.147 0.252 0.572
Ac4 Ac 0.159 0.242 0.082
=====

Reply.
[1]
Entry from Alexandria via LeMat-Bulk: an optimized crystal structure of Tl2In (GGA-PBE).

Unit cell a=10.1891 b=10.1891 c=10.1891 alpha=60.00 beta=60.00 gamma=60.00
With the nearest neighbours (Å) after each atom.
Positions (direct):
Tl  0.0000  0.0000  0.0000  6 In 3.18
Tl  0.0000  0.0000  0.5000  6 In 3.18
Tl  0.0000  0.5000  0.0000  6 In 3.18
Tl  0.1822  0.1822  0.5678  4 In 3.29-3.63, 2 Tl 3.66
Tl  0.1822  0.5678  0.1822  4 In 3.29-3.63, 2 Tl 3.66
Tl  0.1822  0.5678  0.5678  4 In 3.29-3.63, 2 Tl 3.66
Tl  0.4322  0.4322  0.8178  4 In 3.29-3.63, 2 Tl 3.66
Tl  0.4322  0.8178  0.4322  4 In 3.29-3.63, 2 Tl 3.66
Tl  0.4322  0.8178  0.8178  4 In 3.29-3.63, 2 Tl 3.66
Tl  0.5000  0.0000  0.0000  6 In 3.18
Tl  0.5678  0.1822  0.1822  4 In 3.29-3.63, 2 Tl 3.66
Tl  0.5678  0.1822  0.5678  4 In 3.29-3.63, 2 Tl 3.66
Tl  0.5678  0.5678  0.1822  4 In 3.29-3.63, 2 Tl 3.66
Tl  0.8178  0.4322  0.4322  4 In 3.29-3.63, 2 Tl 3.66
Tl  0.8178  0.4322  0.8178  4 In 3.29-3.63, 2 Tl 3.66
Tl  0.8178  0.8178  0.4322  4 In 3.29-3.63, 2 Tl 3.66
In  0.1456  0.7848  0.7848  6 Tl 3.18-3.29
In  0.2152  0.2152  0.2152  6 Tl 3.18-3.29
In  0.2152  0.2152  0.8544  6 Tl 3.18-3.29
In  0.2152  0.8544  0.2152  6 Tl 3.18-3.29
In  0.7848  0.1456  0.7848  6 Tl 3.18-3.29
In  0.7848  0.7848  0.1456  6 Tl 3.18-3.29
In  0.7848  0.7848  0.7848  6 Tl 3.18-3.29
In  0.8544  0.2152  0.2152  6 Tl 3.18-3.29

Summary:
Uncorrected energy in eV/atom: -2.448
Magnetization in μB per cell: 0.00
Space-group type: Fd-3m

=====

[2]
Entry from Alexandria via LeMat-Bulk: an optimized crystal structure of Tl2In (GGA-PBE).

Unit cell a=3.4175 b=3.4175 c=15.1789 alpha=90.00 beta=90.00 gamma=90.00
With the nearest neighbours (Å) after each atom.
Positions (direct):
Tl  0.0000  0.0000  0.1604  8 Tl 3.42-3.64, 4 In 3.43
Tl  0.0000  0.0000  0.8396  8 Tl 3.42-3.64, 4 In 3.43
Tl  0.5000  0.5000  0.3396  8 Tl 3.42-3.64, 4 In 3.43
Tl  0.5000  0.5000  0.6604  8 Tl 3.42-3.64, 4 In 3.43
In  0.0000  0.0000  0.5000  4 In 3.42, 8 Tl 3.43
In  0.5000  0.5000  0.0000  4 In 3.42, 8 Tl 3.43

Summary:
Uncorrected energy in eV/atom: -2.468
Magnetization in μB per cell: 0.00
Space-group type: I4/mmm

=====

[3]
Entry from Alexandria via LeMat-Bulk: an optimized crystal structure of Tl5In2 (GGA-PBE).

Unit cell a=3.3734 b=3.3734 c=36.6503 alpha=90.00 beta=90.00 gamma=90.00
With the nearest neighbours (Å) after each atom.
Positions (direct):
Tl  0.0000  0.0000  0.0000  12 Tl 3.37-3.58
Tl  0.0000  0.0000  0.1467  8 Tl 3.37-3.60, 4 In 3.51
Tl  0.0000  0.0000  0.4270  12 Tl 3.37-3.60
Tl  0.0000  0.0000  0.5730  12 Tl 3.37-3.60
Tl  0.0000  0.0000  0.8533  8 Tl 3.37-3.60, 4 In 3.51
Tl  0.5000  0.5000  0.0730  12 Tl 3.37-3.60
Tl  0.5000  0.5000  0.3533  8 Tl 3.37-3.60, 4 In 3.51
Tl  0.5000  0.5000  0.5000  12 Tl 3.37-3.58
Tl  0.5000  0.5000  0.6467  8 Tl 3.37-3.60, 4 In 3.51
Tl  0.5000  0.5000  0.9270  12 Tl 3.37-3.60
In  0.0000  0.0000  0.2831  8 In 3.37-3.40, 4 Tl 3.51
In  0.0000  0.0000  0.7169  8 In 3.37-3.40, 4 Tl 3.51
In  0.5000  0.5000  0.2169  8 In 3.37-3.40, 4 Tl 3.51
In  0.5000  0.5000  0.7831  8 In 3.37-3.40, 4 Tl 3.51

Summary:
Uncorrected energy in eV/atom: -2.453
Magnetization in μB per cell: 0.00
Space-group type: I4/mmm

=====

Record-wise Fermi-level density of states values, in states/eV/atom: 0.44, 0.39, 0.50


This record from Alexandria via LeMat-Bulk describes a relaxed structure of Ac12Co2Sn5. The functional is PBE-GGA.

ΔE_f in kJ/mol of formula units: -555.6
Magnetization in Bohr magnetons per cell: 2.076

```
data_Ac12Co2Sn5
_chemical_formula_sum 'Ac24 Co4 Sn10'
_space_group_name_H-M_alt 'C 1 2/m 1'
_space_group_IT_number 12
_space_group_name_Hall '-C 2y'
_cell_length_a 18.730
_cell_length_b 8.338
_cell_length_c 10.456
_cell_angle_alpha 90.00
_cell_angle_beta 106.19
_cell_angle_gamma 90.00
loop_
_atom_site_label
_atom_site_type_symbol
_atom_site_fract_x
_atom_site_fract_y
_atom_site_fract_z
Ac1 Ac 0.002 0.000 0.212
Ac2 Ac 0.004 0.500 0.825
Ac3 Ac 0.147 0.252 0.572
Ac4 Ac 0.159 0.242 0.082